How did you discover Fallout ?

It was a little bit lucky.. I ordered some pc collection, PC Gamers. First game was Fallout 2 and I just tried that, then my life went into closet.. :D
Some kid in JR. High School owed me money but instead of giving me 5 bucks he handed me a burned copy of Fallout 2. I remember him saying something like "its like Diablo but in the future" at the point i was not a fan of RPG's but after two hours i realized Fallout is no Final Fantasy nonsense. After playing F2 half way I uninstalled it and went out to buy the original.
was bored and checking out the local electronic boutique and seen it on the shelf,looked cool so i grabbed it
I saw a friend playing it and then started to ask a bunch of questions like, "can you do this, can you do that". This led to me getting the game which I havent regretted to this day.
"A Long Time Ago in a Galaxy Far, Far Away…" . One girl in my neighborhood played Fallout. She give me copy of first Fallout. One month later i buy original Fallout and i have fun with this game... always.
Um, So I'm very new here. I'm also a LOT younger than most of you here. You all are my senpai's here :p

I usually play a lot of traditional Japaneses RPG's. (Final Fantasy etc etc...) I hate RPG set in the past or fantasy RPGs where there are elves or basic stuff like oblivion. Just don't like them too much.

When I first heard about Fallout, it was when I got a copy of Fallout 2 for the Mac. Since Mac doesn't have that many games to play with, I couldn't really complain.

I remember my cousin playing this game like ... about .. 10 years ago or so. he was really into it. He was like 8 years older than me too so I thought this would be an old (one of those horrible text RPG's made a long long time ago). It was an RPG though, which I LOVE, and it wasn't like other RPG's so I couldn't really complain since I didn't have any game installed on my Mac (except for WOW *rolls eyes*).

When I first started playing, I fell in love with the battle system. Then came the story. Then I fell in love with the environment. It was so ... different. I had not played a game like this and I knew I was in for a treat.

Instantly, I had to get a copy of the first game for the PC and play it at work on a PC XD. I ... don't know what to say ...

This game was ahead of it's time. I love a game that a person can play 10 years later and go "Whao, this is good... " Not many games can do that.

And so I thank Fallout and Interplay. Great game, I'm a Fan.
It was 1998(I was 10 years old then :D ) when i got my first computer. My father gave me some money so i could buy a game for it. I went to a local game store and looked games for about an hour or so. Suddenly I just spotted a game called Fallout. I just knew that I needed to get that one! So I bought it and went to home. I got totally hooked to that game! And I still think it is best game i ever had and will ever have.
I discovered fallout reading about it on a hardcore rpg forum, played it roughly until i found it in EBgames store both the big box of fallout 1 and the ultimate collection (fo1,fo2,fot) at around 5€....

Got to actually finish them with the ragfox's italian translation (tifone).
:o I discovered fallout 1 while doing my time in foster care 6 years to be exact......A fellow foster kid spent ruffly 30 min describing the game i was amazed bye the freedom you had in the game and how well the towns people reacted to the path you went down, that wasn't just was the many options of character creation and karma system the graphics wasn't much to talk about but id rather have a good story then x-box 360 graphics.

I discovered fallout 2 (my favorite of the series) also while in foster care, fallout 2 carried on many of the great traits of the first, although fallout 2 wasn't complete when packaged and sent to shelves...example suliks sister,where is she?
holy grenade....I never found the grenade :( etc. etc. Note: I know their are mods and patches just would have been nice to have had it all the first time when i lost my fallout virginity.

They should redo and resale fallout 2 with new content with the old....Bethesda!.....but who am i.....

I played all the other fallout titles they were ok but didn't do it for me.

In closing Fallout is the best rpg of all time.
Through my classmate.

He was talking to my other classmate about it suddenly mentioned "Iguana on a stick".

I thought I had to check it out! LOL
Shamefuly I have only recently started playing the games.

Ive been a gamer for years but untill STALKER came out I had never found any game that totally suits my needs.

== Next to the text, the page also holds records of crystals ==
- - -
A geometry-optimized SrScCoB2 structure, computed with PBE.

Cell lengths 4.4899, 4.4899, 5.3870 Å; angles 90.00, 90.00, 90.00 degrees
With the nearest neighbours (Å) after each atom.
Space group P4/mmm (No. 123)
Asymmetric unit:
1 Sr 0.0000 0.0000 0.0000  4 B 2.24
2 Sc 0.0000 0.0000 0.5000  2 Sr 2.69
3 Co 0.5000 0.5000 0.5000  4 Sc 3.17, 8 B 3.51
4 B 0.0000 0.5000 0.0000  2 Sr 2.24

Computed properties:
**Energy relative to the elements**: 2.79 eV per atom
**Spin magnetization**: 0.055 μB per atom

A geometry-optimized Sr2ScCoB structure, computed with PBE.

Cell lengths 5.6203, 5.6203, 4.5831 Å; angles 90.00, 90.00, 90.00 degrees
With the nearest neighbours (Å) after each atom.
Space group P4/mmm (No. 123)
Asymmetric unit:
1 Sr 0.0000 0.5000 0.0000  2 Co 2.81
2 Sc 0.0000 0.0000 0.5000  2 Co 2.29
3 Co 0.0000 0.0000 0.0000  2 Sc 2.29
4 B 0.5000 0.5000 0.5000  8 Sr 3.63, 4 Sc 3.97

Computed properties:
**Energy relative to the elements**: 0.90 eV per atom
**Spin magnetization**: 0.000 μB per atom

A geometry-optimized SrScCo2B structure, computed with PBE.

Cell lengths 4.6085, 4.6085, 4.7349 Å; angles 90.00, 90.00, 90.00 degrees
With the nearest neighbours (Å) after each atom.
Space group P4/mmm (No. 123)
Asymmetric unit:
1 Sr 0.0000 0.0000 0.0000  4 B 3.26, 8 Co 3.30
2 Sc 0.5000 0.5000 0.5000  4 Co 2.30, 2 B 2.37
3 Co 0.0000 0.5000 0.5000  2 Sc 2.30
4 B 0.5000 0.5000 0.0000  2 Sc 2.37

Computed properties:
**Energy relative to the elements**: 1.01 eV per atom
**Spin magnetization**: 0.289 μB per atom

A geometry-optimized Sc2TaCo5B2 structure, computed with PBE.

Cell lengths 8.7809, 8.7809, 3.0571 Å; angles 90.00, 90.00, 90.00 degrees
With the nearest neighbours (Å) after each atom.
Space group P4/mbm (No. 127)
Asymmetric unit:
1 Sc 0.1745 0.3255 0.0000  3 B 2.57-2.62, 10 Co 2.65-2.78
2 Ta 0.0000 0.0000 0.0000  8 Co 2.57
3 Co 0.0000 0.5000 0.5000  4 B 2.12
4 Co 0.0700 0.7758 0.5000  2 B 2.10
5 B 0.1186 0.6186 0.0000  6 Co 2.10-2.12

Computed properties:
**Energy relative to the elements**: -0.51 eV per atom
**Spin magnetization**: 0.000 μB per atom

A geometry-optimized Sc2Co5TcB2 structure, computed with PBE.

Cell lengths 8.8727, 8.8727, 2.9228 Å; angles 90.00, 90.00, 90.00 degrees
With the nearest neighbours (Å) after each atom.
Space group P4/mbm (No. 127)
Asymmetric unit:
1 Sc 0.1772 0.3228 0.0000  3 B 2.57-2.67, 10 Co 2.66-2.76
2 Co 0.0000 0.5000 0.5000  4 B 2.08
3 Co 0.0687 0.7730 0.5000  2 B 2.05
4 Tc 0.0000 0.0000 0.0000  8 Co 2.56
5 B 0.1177 0.6177 0.0000  6 Co 2.05-2.08

Computed properties:
**Energy relative to the elements**: -0.39 eV per atom
**Spin magnetization**: 0.169 μB per atom

A geometry-optimized Sc2TiCo5B2 structure, computed with PBE.

Cell lengths 8.7819, 8.7819, 2.9882 Å; angles 90.00, 90.00, 90.00 degrees
With the nearest neighbours (Å) after each atom.
Space group P4/mbm (No. 127)
Asymmetric unit:
1 Sc 0.1750 0.3250 0.0000  3 B 2.55-2.63, 10 Co 2.64-2.77
2 Ti 0.0000 0.0000 0.0000  8 Co 2.54
- - -

Then from STALKER I looked for other games of a similar style and discovered Fallout. Been obsessed with it since then :P
Wiggum said:
It was 1998(I was 10 years old then :D )

== These materials data were left in the text by mistake ==
-- begin --
Density functional theory data (PBE-GGA) for MnAl2Pb after structural relaxation.

The value obtained for the density of states at the Fermi level is 0.6172 states/eV per atom. As for the space-group type: P4/mmm (123). Its total magnetization is 1.300 μB/f.u. For the volume, the calculation gives 18.72 Å³ per atom. Its formation energy from the elements is 0.103 eV per atom.

Cell lengths 3.009, 3.009, 8.272 Å; angles 90.00, 90.00, 90.01 degrees
Positions (direct):
Pb  0.500  0.500  0.750
Mn  0.500  0.500  0.250
Al  0.000  0.000  0.084
Al  0.000  0.000  0.416

* * * * *

FeSbSe after structural relaxation. Source: Alexandria via LeMat-Bulk, functional PBE-GGA.

Computed properties:
SG   F-43m, No. 216

Cell and atoms, written as POSCAR:
```
FeSbSe
1.0
4.306 0.000 0.000
2.153 3.729 0.000
2.153 1.243 3.516
Fe Se Sb
1 1 1
direct
0.750 0.750 0.750
0.500 0.500 0.500
0.000 0.000 0.000
```

Si2Se after structural relaxation. Source: Alexandria via LeMat-Bulk, functional PBE-GGA.

Computed properties:
SG   P4/mmm, No. 123
Offset from the most stable computed form   1035 meV/atom

Cell and atoms, written as POSCAR:
```
Si2Se
1.0
3.682 0.000 0.000
0.000 3.682 0.000
0.000 0.000 5.267
Se Si
1 2
direct
0.000 0.000 0.000
0.000 0.000 0.500
0.500 0.500 0.000
```

Number 1: ΔE_f (raw) 2.80 kcal/mol of atoms, E -5.235 eV per atom, spin magnetization 0.0 μB per formula unit. Number 2: ΔE_f (raw) 19.99 kcal/mol of atoms, E -3.910 eV per atom, spin magnetization 0.0 μB per formula unit.
-- stop --
== The materials data stop here ==

Jesus Christ, Thx for making me feel old, I was 19 in 1998....I was browsing through all the game and that rectangular red box stood out from the others, I could not resist.
A long time ago I've had read a preview in a game magazine and the game seemed interesting to me, being already an avid RPG player (both PnP and CRPG), no big fan of sci-fi though. After that I heard nothing about it for a few years.

Then I saw it ar my friend's PC and being told, that both of them were released as a free game in the mentioned magazine. I had no choice than to order both issues. Never regretted. I can say Fallout was my way to science-fiction (and A.C.Clarke of course).

BTW Does anyone know how (or IF) Fallout 1+2 run in Linux?
Mediaplay R.I.P.

I was looking for something amusing to play back in 99 and found Fallout 2 on the shelves at Media play. It said you could pimp your spouse. That was all I needed to see so I bought it. Oddly enough I never actually tried to do that. Mainly because the "spouse" was a pain in the ass to deal with. Been hooked on post apocalyptic goodness ever since.
I had been eyeing it ( :boy: 1) for years prior to finally purchasing this sweet gem. I think it was the wicked box art that always drew me in like a tractor beam on full suck (after all, who can turn away from such a cute steel-clad mug?). But, not having realized my ignorance at the time, I always turned it down for more graphicly intensive games. 'Till one day, as I was perusing around lookin' to pick up some last minute essentials at the NEX(Navy Exchange) before a long 6 month deployment :salute: , I came across a bargain bin in the electronics section with a Dual Jewel copy of both FO1 & 2 sitting atop the pile just begging me to buy it, and @ $1.99 I was not going to pass this offer up. We've had an on-again, off-again relationship since 2001.
OOps....sorry Dopes. I accidently clicked the little "!" by your post and sent a snitch to the Admins. Maybe that'll learn me to not go randomly clicking on interesting buttons before I know what they do no more, huh? :shrug:

(your right Ziltoid)
Maybe that'll also teach you to use the edit button instead of double posting. Yeesh.
I was given the two good ones by a friend, along with a few other oldish pc titles, like NOLF, a couple Star Trek games, Dungeon Keeper II, Silver, Cesar III, an assload of Sonic emus, and many, many more games I can't even remember.

Good times.